Taken in isolation, this accident appears to be a simple case of a pilot flying an instrument approach incorrectly. But there is much more to it than that. This was another incident in a series of 13, 11 of which pointed to a problem with the Crew Resource Management culture at Pan American World Airways at the time. They were able to reverse this culture and became one of the safest airlines in the world.
— James Albright

Reading the accident report you would believed the captain somehow was thinking one step ahead of the airplane and descending one step early; the copilot was simply confused and didn't realize what was happening. But if you know a little more about the captain and the culture of the airline at the time, you realize there was a lot more to it than what was in the report. The captain had a record of having trouble planning his descents and not allowing dissent in his cockpit. This appeared to be a part of the culture of many Pan American World Airways captains at the time.

Accident report
- Date: 25 July 1971
- Time: 03:21
- Type: Boeing 707-321C
- Operator: Pan American World Airways
- Registration: N461PA
- Fatalities: 4 of 4 crew
- Aircraft fate: Damaged beyond repair
- Phase: Approach
- Airport (departure): Guam International Airport (PGUM), Guam
- Airport (arrival): Manila International Airport (RPLL), Philippines
The weather wasn't too bad but it was late at night. Perhaps the biggest clue as to why the accident occurred can be found in the differences in age and experience between the two pilots.
- Flight 6005 was a scheduled international cargo flight from San Francisco to Saigon with intermediate stops at Honolulu, Guam and Manila. The flight from San Francisco to Honolulu and Guam was uneventful. At 2125 hours GMT on 24 July 1971, the flight took off from Guam for Manila. Initial contact with the flight was established by Manila Control at 2400 hours and the controller provided the flight with the latest weather information for Manila.
- At 0013 hours the flight reported having passed Jamalig one minute before, being at 67 DME and out of FL 200. It was then handed over by Manila Control to Manila approach control. The approach controller cleared the flight to BA and provided the crew with the following weather information: wind 280°/20 kts, visibility 7 kms, light rain, cloud 3/8 at 4,000 ft and 8/8 at 9,000 ft. At 0018 hours the flight was cleared for a VOR/DME approach to Runway 24 from the Bangbang Intersection and one minute later the flight reported commencing the approach. At 0021 hours the flight reported 22 DKE out of 5,000 ft for 4,000 ft and 20 seconds later reaching 4,200 ft. This was acknowledged by the controller who, thereafter was unable to establish contact with the flight. It was subsequently found that at approximately 0023 hours the aircraft collided with Mt. Kamunay some 20 miles ENE of the Manila VOR, at an altitude of 2 525 ft.
- Witnesses residing near the scene of the accident testified that they had heard the sound of an aircraft which ceased in an explosion, followed by two other explosions, one immediately thereafter and the second one a little later.
Source: ICAO Circular, §1.1, History of the flight
- The pilot-in-command, aged 61, held a valid Airline Transport Pilot's Licence No. 37004 issued by the U.S. FAA on 15 February 1960 with ratings on the Constellation, Lockheed, Douglas DC-4, DC-6/7, Boeing 707/720. The result of his last B707 proficiency check was satisfactory. He had flown a total of 17,011 hours in piston-engined aircraft and 8,248 hours in turbo-jet aircraft. He held a first class medical certificate dated 12 July 19 71 with the following restriction: "Holder shall possess correcting glasses for near vision while exercising the privileges of his airman certificate". He flew the subject route at least once a month.
- The co-pilot, aged 36, held a valid Airline Transport Pilot's Licence No. 1407404 issued by the U.S. FAA on 14 June 1967 with ratings on the Boeing 707/727. His last B707 Flight Simulator Proficiency Check was on 2 July 1971. He had flown a total of 1,300 hours with the U.S. Army Air Corps and 3,277 hours in the B707. He had flown 3 hours and 38 hours during the last 24 hours and 30 days, respectively. He held a first class medical certificate dated 16 February 1971 with no waiver/limitation.
Source: ICAO Circular, §1.5, Crew Information
- Manila: Wind 270°/16 kt; visibility, 9 km; 4/8 cumulus at 2,400 ft; overcast at 9,000 ft; temperature 25°c, dew point 21, QNH - 1005.5.
- Witnesses residing near the crash site reported that at the time of the accident it was raining heavily in the area. The crash site was completely obscured by clouds. The weather cleared in the afternoon.
Source: ICAO Circular, §1.7, Weather
If you read the accident report's analysis with the perspective of crew resource management as we know it today, you will probably agree that the captain somehow lost situational awareness of the approach and the copilot was either confused or unable to express himself clearly enough. But if you knew the captain's history and the way the airline treated copilots who questioned their captains, you come away with a different conclusion. Thanks to an excellent book by Robert Gandt, we have just such an insight.
- There was no evidence to indicate that the aircraft was not in airworthy condition at the time of the accident. The crew of the flight who were in constant communication with the approach controller never reported any operating difficulty. The FDR and CVR readouts revealed no evidence of any aircraft abnormality during any part of the flight prior to the accident. The crew never recognized any impending disaster until initial impact at approximately 0023Z when a member of the crew shouted "look out".
- Altimetry was ruled out as a potential causal factor based on the cross checks of the altitude alerting system, whose aural signal was heard on the CAM channel at flight data recorder-correlated altitudes within the system tolerance of settings at 7,000 and 4,200 ft, as well as the correlation of the co-pilot's comments with the flight data recorder.
- A detailed examination of the flight profile followed by the aircraft versus the instrument approach procedure profile revealed that the pilot-in-command, who was executing the approach, failed to comply with the minimum altitude of 7,000 ft at the 23 mile DME fix. Based on a 29.92 in Hg setting on the altimeter recovered at the crash site, the altitude of the aircraft was already 6,095 ft when the co-pilot called out "twenty-three, now you're cleared down to four two". (CVR time 14.34.)
- Both pilots were perfectly in accord until CVR time 15.00 when the co-pilot stated "okay, at twenty miles out you are cleared down to three thousand". This statement was similar to the statement made by the co-pilot at 14.34 - "Twenty-three, now you're cleared down to four two" - except for the words, "okay" and "at". From the ensuing events, it was evident that the pilot-in-command missed the word "at" and interpreted the statement to mean that the aircraft was then at the 20-mile point and that descent was now authorized to 3,000 ft. This interpretation of events is confirmed by the pilot-in-command's statement at 15.18 - "Three thousand" and the co-pilot's reply - "three miles to go". This reply from the co-pilot must have been misconstrued by the pilot-in-command to mean that they still had three miles to go to 17 DME over which the minimum altitude was 3,000 ft. In fact, the co-pilot must have meant that they still had three miles to go before reaching 20 DME and starting the descent from 4,200 ft to 3,000 ft. This assumption is sustained by the IAP which provided a 3-mile segment between 23, 20 and 17 miles DME.
- At this juncture, the pilot-in-command was actually flying the IAP one segment ahead of where the aircraft was, and was also one segment ahead of the co-pilot. When the co-pilot replied to Manila Approach Control's request to report leaving 5,000 ft with a report of "we're . . . at, ah, four thousand", it is probable that his altimeter was reading 3,620 ft. Realizing that even the 4,000 ft value was below the minimum IAP altitude for 22 DME; he hastily changed this altitude report to 4,200 ft. and when he suspected that both he and the controller had been talking simultaneously, he repeated this report. At the time of the repeated report, the aircraft was at an indicated altitude of 3,420 ft.
- It appears that the pilot-in-command was not paying attention to this exchange of communications, or cross-checking the distance and altitude values against either his instruments or the IAP chart. After traveling for approximately three miles and believing that the aircraft had passed 17 OME; the pilot-in-command stated at 15.57: "Now, we go to twenty five uh?" This confirms that mentally he was one approach segment ahead of the aircraft. At this juncture the co-pilot's reply indicated that he had become confused and/or misread the IAP chart profile, for he agreed with the pilot-in-command that further descent was authorized by replying (15.57) "okay, now you are, now you are cleared down to twenty five hundred". At this point, the accident was inevitable as long as the aircraft remained in cloud.
- The CVR confirmed that the mountains were covered with cloud and that there was heavy rain in the area at the time.
Source: ICAO Circular, §2.1, Analysis
The following narrative is from the excellent book, Sky Gods, by Robert Gandt. It may be one of the best books on Crew Resource Management ever written.
Jim Wood was the first of his class to complete first officer training. For his initial line trip he was scheduled to fly with one of the ancients, a senior captain named Lou Cogliani. The trip was to Honolulu and back.
Wood showed up an hour and a half early. His shoes were spit-shined. The three gold stripes on each sleeve glowed like neon. He was prepared to learn about flying from the old master.
"Sir," he said, extending his hand, 'Tm Jim Wood, your first officer."
Captain Lou Cogliani, Master of Ocean Flying Boats, peered at the young man over the tops of his half-frames. It was the Look. He ignored Wood's hand. "How long you been flying, kid?"
"Ten years, including the Air Force and-"
"Never mind that shit. How long you been with Pan Am?"
"I'm new, sir. Just out of training."
Cogliani leaned over the operations counter. "Goddamnit, Evans," he barked at the clerk. "What's going on here? I told 'em I didn't want any new hires in my cockpit."
"I don't make the schedule, Lou. There's the phone. Call the chief pilot if you want."
Cogliani glowered at the phone. Then he shuffled through the paperwork for the flight to Honolulu. He ignored his new copilot.
They took off. Cogliani still had not spoken to Wood, except to order him to read the checklist.
Wood watched how the old master flew the 707. Captain Cogliani, he noticed, flew an airplane the way a bear handled a beach ball. He gripped the yoke with both hands. The veins stood out on his tensed forearms. He yanked, jerked, shoved, manhandled the protesting 707 all the way to 35,000 feet.
Wood glanced back at the flight engineer. The engineer nodded and rolled his eyes.
Wood was confused. Cogliani was a Skygod-a Master of Ocean Flying Boats. He was one of those legends that Wood most of all wanted to be like someday. He was supposed to be a hero. Something was wrong, thought Jim Wood. The Skygod was an asshole.
Approaching Honolulu, Cogliani commenced his descent from altitude too late, ignoring Wood's reminder about their rapidly diminishing distance from the airport. Too high for the approach, Cogliani had to fly a circle to lose altitude. Then he overshot the localizer, the final approach course. Honolulu Approach Control vectored them back onto an approach course straight into the runway.
At fifteen hundred feet above the field, the captain had still not called for the landing gear down. Wood kept his silence.
A thousand feet. Still no gear. Jim Wood bit his lip and said nothing.
At six hundred feet, Wood could stand no more. "Do you want the landing gear down, captain?"
Cogliani glowered at him. "Landing gear? Goddammit, I'll tell you when I want the gear down." Two and one-half seconds later, with a great deal of authority, he told him. "Gear down!"
No one, not even a new hire like Jim Wood, would dare suggest that the captain-a Master of Ocean Flying Boats-might actually have forgotten to lower his landing gear. Instead, Wood did something even more foolish. He laughed.
Three days later, in the chief pilot's office, Wood received his first lesson in Skygod protocol. The chief-the craggy-faced man who had welcomed Wood's class to Pan American-regarded the young man over the tops of his own half-frames.
"Do you want to keep your job, son?"
"Yes, sir."
"Then get this. You will sit there and raise and lower the captain's landing gear-on command-and keep your impertinent, newly hired mouth shut. Clear?"
"Yes, sir."
"Good. Get out of here."
Source: Gandt, pp. 85-87
The news filtered down to the crew lounge. Pilots stood in clusters talking about the crash.
"What was it?"
"A 707 freighter, on descent into Manila. Disappeared off radar. They think it hit the mountain range east of the airport."
"Who was the captain?"
"Lou Cogliani."
Cogliani. No comment, just a silent nod. It wasn't the right time to make judgments. But each pilot guessed in his heart what had happened out there in the Pacific. And he worried that it could happen again.
Source: Gandt, p. 94
I think the culture of the airline allowed the skills of their captains to atrophy because there was very little oversight. I think the crew didn't actively back up the captain because they were fully indoctrinated into a culture that discouraged any kind of negative feedback towards the captain. In that situation, crew often become passengers.
The Board determined that the probable cause of the accident was improper crew co-ordination which resulted in the premature descent of the aircraft.
## Unrelated to this piece: materials data
Here is an optimized crystal structure of Ac2NiAsPd6 from the Alexandria database. Energies are from PBE.

abc: 5.5346 8.5071 6.8307
angles: 50.00 66.10 90.00
With the nearest neighbours (Å) after each atom.
Sites, in units of the cell vectors:
Pd 0.7578 0.2589 0.9972  1 As 2.50, 1 Ni 2.57, 2 Pd 2.70-2.73
Pd 0.2452 0.2589 0.9971  1 As 2.50, 1 Ni 2.57, 2 Pd 2.70-2.73
Pd 0.2422 0.7411 0.0028  1 As 2.50, 1 Ni 2.57, 2 Pd 2.70-2.73
Pd 0.2463 0.1031 0.5073  1 As 2.53, 1 Ni 2.54, 4 Pd 2.73-2.83
Pd 0.7548 0.7411 0.0029  1 As 2.50, 1 Ni 2.57, 2 Pd 2.70-2.73
Pd 0.7537 0.8969 0.4927  1 As 2.53, 1 Ni 2.54, 4 Pd 2.73-2.83
As 0.5000 0.5000 0.0000  6 Pd 2.50-2.53
Ac 0.2651 0.7337 0.4699  9 Pd 3.14-3.48, 2 Ni 3.47
Ac 0.7349 0.2663 0.5301  9 Pd 3.14-3.48, 2 Ni 3.47
Ni 0.0000 0.0000 0.0000  6 Pd 2.54-2.57

Properties
crystal system = monoclinic
DOS(E_F) = 0.439 states/eV per atom
calculated volume = 20.91 A^3/atom
E_tot = -5.614 eV per atom

Here is an optimized crystal structure of AcPmNi2As2 from the Alexandria database. Energies are from PBE.

abc: 4.1728 4.1728 8.3228
angles: 90.00 90.00 120.00
With the nearest neighbours (Å) after each atom.
Sites, in units of the cell vectors:
As 0.3333 0.6667 0.2680  3 Ni 2.41
As 0.6667 0.3333 0.7320  3 Ni 2.41
Pm 0.0000 0.0000 0.5000  6 As 3.09, 6 Ni 3.13
Ni 0.6667 0.3333 0.2602  3 As 2.41
Ni 0.3333 0.6667 0.7398  3 As 2.41
Ac 0.0000 0.0000 0.0000  6 Ni 3.24, 6 As 3.28

Properties
crystal system = trigonal
DOS(E_F) = 0.415 states/eV per atom
calculated volume = 20.92 A^3/atom
E_tot = -5.968 eV per atom

Here is an optimized crystal structure of AcPmNiAs from the Alexandria database. Energies are from PBE.

abc: 5.2235 5.2235 5.2235
angles: 60.00 60.00 60.00
With the nearest neighbours (Å) after each atom.
Sites, in units of the cell vectors:
Ni 0.2500 0.2500 0.2500  4 Ac 3.20, 4 Pm 3.20
Ac 0.0000 0.0000 0.0000  4 As 3.20, 4 Ni 3.20
Pm 0.5000 0.5000 0.5000  4 As 3.20, 4 Ni 3.20
As 0.7500 0.7500 0.7500  4 Pm 3.20, 4 Ac 3.20

Properties
crystal system = cubic
DOS(E_F) = 1.223 states/eV per atom
calculated volume = 25.19 A^3/atom
E_tot = -5.348 eV per atom

Here is an optimized crystal structure of AcPrNiAs from the Alexandria database. Energies are from PBE.

abc: 5.2577 5.2577 5.2577
angles: 60.00 60.00 60.00
With the nearest neighbours (Å) after each atom.
Sites, in units of the cell vectors:
As 0.2500 0.2500 0.2500  4 Pr 3.22, 4 Ac 3.22
Ac 0.5000 0.5000 0.5000  4 As 3.22, 4 Ni 3.22
Ni 0.7500 0.7500 0.7500  4 Ac 3.22, 4 Pr 3.22
Pr 0.0000 0.0000 0.0000  4 Ni 3.22, 4 As 3.22

Properties
crystal system = cubic
DOS(E_F) = 1.195 states/eV per atom
calculated volume = 25.69 A^3/atom
E_tot = -5.354 eV per atom

Here is an optimized crystal structure of AcPrNi2As2 from the Alexandria database. Energies are from PBE.

abc: 4.1890 4.1890 8.4122
angles: 90.00 90.00 120.00
With the nearest neighbours (Å) after each atom.
Sites, in units of the cell vectors:
Ni 0.3333 0.6667 0.7437  3 As 2.42
Ni 0.6667 0.3333 0.2563  3 As 2.42
Source: ICAO Circular, §2.2
(Source material)
Gandt, Robert, Skygods: The Fall of Pan Am, 2012, Wm. Morrow Company, Inc., New York
ICAO Circular 118-AN/88 No. 14, Pan American World Airways, Boeing 707-321C, N 461, accident at Mount Kamunay, Antipolo, Philippines, on 25 July 1971. Report, dated 15 March 1972 released by the Civil Aeronautics Administration, Philippines.
NTSB Aircraft Accident Summary,DCA72RZ001, Pan American World Airways 6005, N461PA, July 25, 1971